(Entries)
=====
Entry 1:
14
Lattice="-4.2534 4.2534 4.2891 4.2534 -4.2534 4.2891 4.2534 4.2534 -4.2891" Properties=species:S:1:pos:R:3 comment="PBE-GGA Ce2SmS4, optimized geometry" sg="I-42d (122)" formation_energy_mev_per_atom=-2308 m_tot_mub_per_cell=5.8 final_energy_ev_per_fu=-47.277 pbc="T T T"
Ce 2.1267 1.0712 -1.0723
Ce 3.1822 -2.1267 5.3614
Ce 2.1267 3.1822 3.2168
Ce 1.0712 6.3802 1.0723
Sm 4.2534 0.0000 2.1445
Sm 0.0000 0.0000 4.2891
S 2.7588 3.6173 -2.5481
S 4.8896 1.4946 -0.4035
S 1.4946 0.6361 1.7410
S 1.4946 3.6173 0.4035
S 4.8896 2.7588 2.5481
S 2.7588 0.6361 4.6926
S -0.6361 2.7588 3.8855
S -0.6361 1.4946 6.8372


Entry 2:
14
Lattice="-4.3450 4.3450 4.3490 4.3450 -4.3450 4.3490 4.3450 4.3450 -4.3490" Properties=species:S:1:pos:R:3 comment="PBE-GGA SrCe2S4, optimized geometry" sg="I-42d (122)" formation_energy_mev_per_atom=-2323 m_tot_mub_per_cell=4.0 final_energy_ev_per_fu=-44.348 pbc="T T T"
Sr 0.0000 0.0000 0.0000
Sr 0.0000 4.3450 2.1745
Ce 2.1725 3.2514 -1.0873
Ce 5.4385 2.1725 1.0873
Ce 2.1725 1.0935 3.2618
Ce -1.0935 2.1725 5.4363
S 2.8449 0.6618 0.5061
S 5.0068 2.8449 -1.6684
S 3.6832 -1.5000 3.8429
S -0.6618 1.5000 2.6806
S 0.6618 5.8450 -0.5061
S 2.8449 3.6832 1.6684
S 1.5000 0.6618 6.0175
S 1.5000 3.6832 4.8552


Entry 3:
6
Lattice="4.0799 0.0000 0.0000 -2.0400 3.5333 0.0000 0.0000 0.0000 9.7137" Properties=species:S:1:pos:R:3 comment="PBE-GGA CeTh2S3, optimized geometry" sg="P-3m1 (164)" formation_energy_mev_per_atom=-2171 final_energy_ev_per_fu=-44.685 pbc="T T T"
Ce 0.0000 0.0000 0.0000
Th 0.0000 2.3555 6.4771
Th 2.0400 1.1778 3.2366
S 0.0000 0.0000 4.8568
S 0.0000 2.3555 1.5961
S 2.0400 1.1778 8.1175


Entry 4:
32
Lattice="11.9118 0.0000 0.0000 0.0000 7.4350 0.0000 0.0000 0.0000 8.0345" Properties=species:S:1:pos:R:3 comment="PBE-GGA CeThUS5, optimized geometry" sg="Pna2_1 (33)" formation_energy_mev_per_atom=-2123 m_tot_mub_per_cell=14.5 final_energy_ev_per_fu=-59.787 pbc="T T T"
Ce 2.1175 0.2298 0.0000
Ce 3.8384 3.9473 4.0173
Ce 8.0734 3.4876 0.0000
Ce 9.7943 7.2051 4.0173
Th 2.1275 0.1884 4.0304
Th 3.8284 3.9059 0.0131
Th 8.0834 3.5291 4.0304
Th 9.7842 7.2466 0.0131
U 0.0686 4.2474 6.0320
U 5.8873 0.5299 2.0147
U 6.0244 6.9051 6.0320
U 11.8432 3.1876 2.0147
S 11.9090 0.3018 2.0207
S 0.0028 7.1332 6.0379
S 1.1370 4.9727 3.6850
S 1.1772 4.9312 0.3388
S 2.2506 2.4799 6.0254
S 2.5775 2.2702 2.0253
S 3.3784 5.9877 6.0425
S 3.7053 6.1974 2.0081
S 4.7787 1.2138 4.3561
S 4.8189 1.2552 7.7023
S 5.9531 3.4157 2.0207
S 5.9587 4.0193 6.0379
S 7.0929 6.1797 3.6850
S 7.1331 6.2212 0.3388
S 8.2065 1.2376 6.0254
S 8.5334 1.4473 2.0253
S 9.3342 5.1648 6.0425
S 9.6612 4.9550 2.0081
S 10.7346 2.5037 4.3561
S 10.7748 2.4622 7.7023


Entry 5:
37
Lattice="19.4970 -1.9658 0.0000 19.4970 1.9658 0.0000 -0.2755 0.0000 11.3120" Properties=species:S:1:pos:R:3 comment="PBE-GGA Ce4Tm11S22, optimized geometry" sg="C2/m (12)" formation_energy_mev_per_atom=-2336 m_tot_mub_per_cell=4.7 final_energy_ev_per_fu=-239.324 pbc="T T T"
Ce 4.0508 0.0000 0.1350
Ce 14.2261 0.0000 3.9307
Ce 24.4924 0.0000 7.3813
Ce 34.6677 0.0000 11.1769
Tm 0.0000 0.0000 0.0000
Tm 2.6113 0.0000 4.0698
Tm 7.6131 0.0000 10.6536
Tm 10.2022 0.0000 3.9821
Tm 13.1587 0.0000 7.8937
Tm 17.9310 0.0000 3.0662
Tm 20.7875 0.0000 8.2457
Tm 25.5598 0.0000 3.4183
Tm 28.5163 0.0000 7.3299
Tm 31.1053 0.0000 0.6584
Tm 36.1072 0.0000 7.2422
S 0.2406 0.0000 2.7099
S 3.2089 0.0000 8.5016
S 5.1317 0.0000 5.1378
S 6.5214 0.0000 1.7108
S 7.1632 0.0000 7.8293
S 9.9166 0.0000 1.3502
S 10.7542 0.0000 6.6766
S 13.6661 0.0000 1.0342
S 15.6548 0.0000 8.9206
S 17.2482 0.0000 5.6049
S 17.6482 0.0000 0.3566
S 21.0703 0.0000 10.9554
S 21.4703 0.0000 5.7071
S 23.0637 0.0000 2.3913
S 25.0524 0.0000 10.2778
S 27.9643 0.0000 4.6354
S 28.8019 0.0000 9.9618
S 31.5553 0.0000 3.4827
S 32.1971 0.0000 9.6011
S 33.5868 0.0000 6.1741
S 35.5096 0.0000 2.8104
S 38.4778 0.0000 8.6021


Entry 6:
40
=====
(To do)
Your job: duplicate only the last part of the rows further above, starting with the line that has "9.6612 4.9550".
(Completed)
S 9.6612 4.9550 2.0081
S 10.7346 2.5037 4.3561
S 10.7748 2.4622 7.7023


Entry 5:
37
Lattice="19.4970 -1.9658 0.0000 19.4970 1.9658 0.0000 -0.2755 0.0000 11.3120" Properties=species:S:1:pos:R:3 comment="PBE-GGA Ce4Tm11S22, optimized geometry" sg="C2/m (12)" formation_energy_mev_per_atom=-2336 m_tot_mub_per_cell=4.7 final_energy_ev_per_fu=-239.324 pbc="T T T"
Ce 4.0508 0.0000 0.1350
Ce 14.2261 0.0000 3.9307
Ce 24.4924 0.0000 7.3813
Ce 34.6677 0.0000 11.1769
Tm 0.0000 0.0000 0.0000
Tm 2.6113 0.0000 4.0698
Tm 7.6131 0.0000 10.6536
Tm 10.2022 0.0000 3.9821
Tm 13.1587 0.0000 7.8937
Tm 17.9310 0.0000 3.0662
Tm 20.7875 0.0000 8.2457
Tm 25.5598 0.0000 3.4183
Tm 28.5163 0.0000 7.3299
Tm 31.1053 0.0000 0.6584
Tm 36.1072 0.0000 7.2422
S 0.2406 0.0000 2.7099
S 3.2089 0.0000 8.5016
S 5.1317 0.0000 5.1378
S 6.5214 0.0000 1.7108
S 7.1632 0.0000 7.8293
S 9.9166 0.0000 1.3502
S 10.7542 0.0000 6.6766
S 13.6661 0.0000 1.0342
S 15.6548 0.0000 8.9206
S 17.2482 0.0000 5.6049
S 17.6482 0.0000 0.3566
S 21.0703 0.0000 10.9554
S 21.4703 0.0000 5.7071
S 23.0637 0.0000 2.3913
S 25.0524 0.0000 10.2778
S 27.9643 0.0000 4.6354
S 28.8019 0.0000 9.9618
S 31.5553 0.0000 3.4827
S 32.1971 0.0000 9.6011
S 33.5868 0.0000 6.1741
S 35.5096 0.0000 2.8104
S 38.4778 0.0000 8.6021


Entry 6:
40